Addressing Modes of Siemens S7 Series PLC (1)

Misplaced materials data =
____________
Here is a geometry-optimized Pa2TcNi structure from the Alexandria database. Energies are from PBE.

Cell: 3.356 3.356 6.910 Å, 90.00 90.00 90.00°
Fractional coordinates of all 4 atoms:
Pa 0.000 0.000 0.242
Pa 0.000 0.000 0.758
Tc 0.500 0.500 0.500
Ni 0.500 0.500 0.000

Computed properties:
ΔE_f in eV per formula unit: -0.71
Symmetry: P4/mmm, No. 123
DOS(E_F) in states/eV/cell: 6.61
Electronic total energy in eV/atom: -8.961
Offset from the most stable computed form in meV per atom: 157
M_tot in μB per atom: 0.0000

=====

Here is a geometry-optimized CdRhW2 structure from the Alexandria database. Energies are from PBE.

Cell: 9.712 9.712 9.712 Å, 16.70 16.70 16.70°
Fractional coordinates of all 4 atoms:
Cd 0.000 0.000 0.000
Rh 0.500 0.500 0.500
W 0.244 0.244 0.244
W 0.756 0.756 0.756

Computed properties:
ΔE_f in eV per formula unit: 1.23
Symmetry: R-3m, No. 166
DOS(E_F) in states/eV/cell: 4.41
Electronic total energy in eV/atom: -8.236
M_tot in μB per atom: 0.0000

=====

Here is a geometry-optimized Tl2RuPbI structure from the Alexandria database. Energies are from PBE.

Cell: 5.322 5.322 5.462 Å, 90.00 90.00 90.00°
Fractional coordinates of all 5 atoms:
Tl 0.000 0.500 0.000
Tl 0.500 0.000 0.000
Ru 0.000 0.000 0.000
Pb 0.500 0.500 0.500
I 0.000 0.000 0.500

Computed properties:
Symmetry: P4/mmm, No. 123
DOS(E_F) in states/eV/cell: 5.70
Electronic total energy in eV/atom: -3.409
M_tot in μB per atom: 0.0002

=====

Here is a geometry-optimized ZrPtBr structure from the Alexandria database. Energies are from PBE.

Cell: 4.603 4.603 3.270 Å, 90.00 90.00 120.00°
Fractional coordinates of all 3 atoms:
Zr 0.000 0.000 0.000
Pt 0.333 0.667 0.501
Br 0.667 0.333 0.003

Computed properties:
Symmetry: P3m1, No. 156
DOS(E_F) in states/eV/cell: 2.64
Electronic total energy in eV/atom: -5.766
Offset from the most stable computed form in meV per atom: 391
M_tot in μB per atom: 0.0000

=====

Here is a geometry-optimized Sm5MgPb4 structure from the Alexandria database. Energies are from PBE.

Cell: 9.261 9.261 7.734 Å, 94.89 94.89 28.84°
Fractional coordinates of all 10 atoms:
Sm 0.000 0.000 0.000
Sm 0.284 0.284 0.844
Sm 0.373 0.373 0.301
Sm 0.627 0.627 0.699
Sm 0.716 0.716 0.156
Mg 0.000 0.000 0.500
Pb 0.184 0.184 0.435
Pb 0.450 0.450 0.726
Pb 0.550 0.550 0.274
Pb 0.816 0.816 0.565

Computed properties:
ΔE_f in eV per formula unit: -2.20
Symmetry: C2/m, No. 12
DOS(E_F) in states/eV/cell: 9.68
Electronic total energy in eV/atom: -4.222
M_tot in μB per atom: 0.0000

=====

Here is a geometry-optimized Sm3Tl4GeTe8 structure from the Alexandria database. Energies are from PBE.

Cell: 9.512 9.512 9.512 Å, 56.57 56.57 56.57°
Fractional coordinates of all 16 atoms:
Sm 0.000 0.500 0.500
Sm 0.500 0.000 0.500
Sm 0.500 0.500 0.000
Tl 0.000 0.000 0.500
Tl 0.000 0.500 0.000
Tl 0.500 0.000 0.000
Tl 0.500 0.500 0.500
Ge 0.000 0.000 0.000
Te 0.233 0.233 0.747
Te 0.233 0.747 0.233
Te 0.253 0.767 0.767
Te 0.259 0.259 0.259
Te 0.741 0.741 0.741
Te 0.747 0.233 0.233
____________

The term "addressing mode" refers to the CPU's method of locating the physical address corresponding to the variable address in the program. The Siemens S7 series PLC supports various addressing modes, providing considerable flexibility for program development. In this article, we will discuss how the S7 series PLC (300/400/1200/1500) performs addressing.

The addressing modes of the S7 series PLC can be categorized into direct addressing and indirect addressing.

Direct addressing refers to accessing the CPU's memory directly within the program. The memory areas involved include Input/Output image area (I/O), bit storage area (M), timers (T), counters (C), data blocks (DB), and function blocks (FB/FC), among others. Direct addressing can further be classified into absolute addressing and symbolic addressing.

Absolute addressing involves using the physical address of the memory area in the program. For example: I0.0, Q1.0, M2.0, and so on.

The physical address alone does not convey its meaning intuitively. For instance, seeing "I 1.0" in the program doesn't indicate which button's input it represents or which proximity switch's input it is. This addressing method hinders program readability, writing, and later maintenance. To enhance program readability and maintainability, symbolic addressing is employed.

Symbolic addressing involves assigning a symbol (name) related to the function to the physical address. In the previous example of "I 1.0," we assign the symbol "Start ON" to it, making it clear that it represents the power-on button. Symbolic addressing supports all memory areas (I, O, M, C, T, DB, L), enhancing program readability and maintainability, making it a common addressing method in large program development.

Both of the aforementioned addressing modes fall under direct addressing. In advanced program development, another type of addressing comes into play: indirect addressing.

Indirect addressing is accomplished using pointers or address registers, allowing dynamic modification of instruction addresses during program execution by changing the pointer or address register values. Indirect addressing involves 16-bit and 32-bit pointers, addressing modes include memory indirect addressing and register indirect addressing. It offers powerful functionality but can pose some difficulty for beginners to comprehend. This article will initially focus on memory indirect addressing.

The page is interrupted by crystal structures >
- - -
VASP calculation (PBE-GGA) on an optimized crystal structure of CsTi2Hg.

a b c (Å): 4.791 4.791 21.952
angles (deg): 90.00 90.00 90.00
Space group I-42d (No. 122)
Unique sites:
Cs1 0.000 0.000 0.000 (multiplicity 4)
Ti1 0.051 0.250 0.625 (multiplicity 8)
Hg1 0.000 0.000 0.500 (multiplicity 4)

---

VASP calculation (PBE-GGA) on an optimized crystal structure of Ac3AlIr3.

a b c (Å): 8.9203 8.9203 6.0073
angles (deg): 90.00 90.00 120.00
Space group P6_3/m (No. 176)
Unique sites:
Ac1 0.0607 0.3581 0.2500 (multiplicity 6)
Al1 0.3333 0.6667 0.7500 (multiplicity 2)
Ir1 0.0716 0.3857 0.7500 (multiplicity 6)

Calculated values
Energy above the most stable polymorph in this dataset = 15.4 kJ/mol of atoms

---

VASP calculation (PBE-GGA) on an optimized crystal structure of TlRe4Rh.

a b c (Å): 7.415 7.415 7.415
angles (deg): 90.00 90.00 90.00
Space group F-43m (No. 216)
Unique sites:
Tl1 0.000 0.000 0.000 (multiplicity 4)
Re1 0.124 0.124 0.624 (multiplicity 16)
Rh1 0.250 0.250 0.250 (multiplicity 4)

---

VASP calculation (PBE-GGA) on an optimized crystal structure of CrTe4Rh2.

a b c (Å): 13.143 4.078 7.082
angles (deg): 90.00 121.78 90.00
Space group C2/m (No. 12)
Unique sites:
Cr1 0.000 0.000 0.000 (multiplicity 2)
Te1 0.129 0.000 0.466 (multiplicity 4)
Te2 0.130 0.500 0.961 (multiplicity 4)
Rh1 0.248 0.500 0.737 (multiplicity 4)

---

VASP calculation (PBE-GGA) on an optimized crystal structure of Zr4OsPd2.

a b c (Å): 4.6575 4.6575 22.8665
angles (deg): 90.00 90.00 120.00
Space group R-3m (No. 166, hexagonal axes)
Unique sites:
Zr1 0.0000 0.0000 0.1234 (multiplicity 6)
Zr2 0.0000 0.0000 0.3743 (multiplicity 6)
Os1 0.0000 0.0000 0.0000 (multiplicity 3)
Pd1 0.0000 0.0000 0.2452 (multiplicity 6)
- - -
The page goes on >

Memory indirect addressing utilizes 16-bit and 32-bit pointers. The 16-bit address pointer is used for addressing timers (T), counters (C), program blocks (FB/FC), and data blocks (DB). It accesses data in word format, with the 16-bit pointer acting as an unsigned number (0 to 65535), representing the corresponding memory's identifier.

Addressing format: Area Identifier [16-bit Address Pointer];

For example: Decrement Counter Instruction CD C[MW20]; "C" is the counter area identifier, and "MW20" represents the address pointer. Let's examine the following code snippet:

Here, MW22 is utilized as a 16-bit address pointer with a value of 20, designating the delayed timer as T20.

32-bit pointers enable addressing of memory at the bit, byte, word, and double-word levels. A 32-bit pointer, treated as a double-word, has its 0 to 2 bits indicating the bit address, bits 3 to 18 specifying the byte address, and bits 19 to 31 left undefined.

A 32-bit memory pointer is exclusively employed for internal area addressing, with the format: Area Identifier [32-bit Address Pointer];

When using a 32-bit pointer to access a byte, word, or double-word in memory, the bit address of the pointer needs to be set to 0. For instance: P#Q10.0. Let's examine the following code snippet:

In the example above, QB6 is accessed using a pointer. First, the pointer constant P#6.0 is stored in MD30. Then, the instruction "L QB[MD30]" loads the value of QB6 into Accumulator 1, which is subsequently transferred to the variable MB100. It's worth noting that "p32_1" is the symbolic name for MD30.

The following code snippet employs 32-bit pointers for bit manipulation:

Using MD34 as a 32-bit pointer, storing the constant P#2.5. When "I 2.5" is "1", Q10.1 becomes "1".

That concludes the introduction to direct addressing and memory indirect addressing for Siemens S7 series PLC. In subsequent articles, we will delve into register indirect addressing.